
Response of a General Circulation Model of the Atmosphere to Removal of the Arctic Ice-cap

R. L. Newson

Editor’s Note

This paper by R. L. Newson of the UK’s Meteorological Office looks highly prescient today. For one thing, Newson shows how the advent of “very high speed computers” was transforming the ability to make predictions about global weather and longer-term patterns of climate change. To illustrate these possibilities, Newson considers how the climate of the Northern Hemisphere would be altered by complete melting of the Arctic sea-ice cap. This reduces reflection of the sun’s rays, and provides a heat reservoir in polar waters. Significant temperature changes occur at least as far as mid-latitude Europe and North America. Newson presents this merely as a test case, but today the disappearance of the Arctic ice due to global warming is a distinct possibility. 中文

OVER the past few years, numerical models have been developed for investigating the general circulation of the atmosphere and studying its long term behaviour. (See, for example, Smagorinsky et al. 1 , Kasahara and Washington 2 .) These models are firmly based on the equations of fluid motion and thermodynamics and simulate in mathematical terms the chief physical processes which are thought to be of importance in determining large scale atmospheric motions over long periods of time (a month or more). The advent of very high speed computers has made numerical experiments with these models reasonably easy. 中文

One model has been described in detail by Corby et al . 3 . The mode of computation essentially consists of integration forward in time from an initial state for a considerable number of model days using physical parameters appropriate to a given season and obtaining the mean seasonal state by averaging the later computed states; in the experiments described here the model was integrated forward in time for 80 days under winter conditions and the mean seasonal state obtained as the average of the last 40 days. 中文

It is possible to vary the model to determine its reaction to substantial changes in the assumed physical properties. In one of these variants the region of winter arctic ice, as defined by the mean climatological position, was replaced by open ocean maintained at freezing temperature; what had been a surface with a temperature determined by radiational balance became a surface of constant temperature. The results of computations with ice and with open ocean differ quite considerably. The most marked difference is, of course, the great warming of the lower layers of the troposphere over the arctic basin, where, in the ice-free arctic experiment, there was an oceanic reserve of heat to balance radiative losses; this was to be expected. It might also have been expected that in mid-latitudes temperatures in the lower atmosphere would be raised. In fact, there is a lowering of mid-latitude continental temperatures near to the surface but with little change over the sea where the mean sea surface temperature had been left unchanged. This result is illustrated in Fig. 1, which shows the temperature difference between the two computed seasonal means at the level in the model most representative of the surface. The changes are considerable. The mid-latitude cooling may be compared with the temperature anomaly of –5℃ in the very severe January of 1963; a temperature anomaly of –2℃ would indicate a very cold winter month. 中文

Fig.1. Temperature differences, in ℃ near the model surface, between the computation with an ice-free arctic and the computation with ice at the mean climatological position. Hatched areas indicate regions of cooling in the ice-free experiment.


Other results from these experiments show a distinct southward displacement and weakening of the prevailing mid-latitude westerlies when there was no polar ice-cap, and this is similar to the result obtained from another ice-free arctic general circulation experiment conducted with the Mintz-Arakawa model 4 . What seems to happen is that the general decrease of temperature gradient between equator and pole reduces the strength of westerly flow in mid-latitudes and, there, the circulations become more blocked. Consequently regions which at present benefit climatically from the westerlies might be cooler in an ice-free arctic regime. 中文

I do not claim that these results necessarily indicate what might happen in the real atmosphere, because the model itself has several shortcomings, and one should not dwell on the results in particular areas because they are almost certainly not quantitatively correct. The sign of temperature changes in mid-latitudes is perhaps rather unexpected, and the results illustrate that qualitative arguments may be deceptive and unreliable in considering a physical system as complicated as the atmospheric circulation which includes so many non-linear interactions and feed-back mechanisms. 中文

Considerable refinement and elaboration of numerical models will be required before their answers to questions of the kind raised in this letter can be accepted with any confidence. Nevertheless the potential superiority of the numerical approach for the investigation of problems of climatic modification is beyond doubt. 中文

( 241 , 39-40; 1973)

R. L. Newson

Meteorological Office, Bracknell, Berkshire

Received October 23, 1972.

References: Yvhg5XEJmDBaERsm4q0pHu5cWrANenKJeS/PIK6som92Li2XR0+doiRy93Z8NSB2

_Calculated molecules from another source follow_
<<<
DFT (wB97M-V/def2-TZVPD) results for the ion C6H10BrN4O3 with charge +1.

Each line ends with the natural charge from an NBO analysis.
CARTESIAN COORDINATES (ANGSTROEM)
N -0.55 -0.95 -1.08  -0.267
O 0.68 1.25 -2.01  -0.652
C 1.51 0.05 0.49  0.024
O -1.20 0.00 2.82  -0.394
H 0.71 1.55 -3.03  0.523
N -1.87 -1.38 0.71  -0.423
H 2.42 2.52 -1.70  0.217
C -0.75 -0.96 0.20  0.519
H 2.68 0.69 -1.85  0.194
N 0.41 -0.74 -1.80  0.189
H 2.67 1.81 0.52  0.259
H -3.98 -1.56 0.37  0.245
H -2.90 -2.75 -0.55  0.250
C 1.98 1.52 -1.50  -0.057
N -0.40 0.53 2.06  0.546
H 1.03 2.02 0.19  0.256
C -3.08 -1.74 -0.15  -0.415
C 0.41 -0.40 1.16  -0.332
H 0.58 -1.15 2.04  0.321
H -3.04 -1.03 -1.05  0.241
C 1.85 1.40 0.01  -0.545
Br 3.02 -1.23 0.51  0.120
O -0.22 1.71 1.96  -0.277
H -1.96 -1.16 1.70  0.458

Summary:
- E (Eh) = -3252.80989
- net charge = +1
- energy relative to the best compared isomer or geometry (same formula, charge and spin) (kcal per mole) = 55.2
- LUMO energy (spin up / spin down) (eV) = -5.958 / -5.994
- HOMO level (spin up / spin down) (eV) = -11.88 / -11.86
- gap between HOMO and LUMO (spin up / spin down) (eV) = 5.9 / 5.9

DFT (wB97M-V/def2-TZVPD) results for a structure of composition C24H22Br3F11IN2O7.

Each line ends with the natural charge from an NBO analysis.
CARTESIAN COORDINATES (ANGSTROEM)
H -2.72 1.38 -0.47  0.256
O 1.77 -2.02 1.44  -0.494
H 0.05 2.59 -2.55  0.264
F -4.87 5.86 -1.69  -0.295
H -0.02 3.85 -0.61  0.250
C 1.40 0.99 -0.87  0.254
O -1.33 -3.63 0.07  -0.488
N 0.01 1.08 -0.98  -0.321
F -2.33 6.74 -0.91  -0.279
C -2.37 0.32 -0.36  -0.481
F -3.74 3.94 0.92  -0.312
C 2.64 -2.91 0.67  -0.122
O 3.70 -0.61 -2.34  -0.512
C 4.29 -0.51 -1.31  0.478
Br 4.44 -4.69 3.86  0.064
H 3.95 0.99 0.32  0.286
F -3.11 3.66 -1.88  -0.324
C 2.01 -4.32 0.35  0.070
C 2.35 1.96 -1.64  -0.293
F -1.37 4.94 -2.46  -0.324
C -5.08 5.44 -0.42  0.925
H -1.53 1.76 -2.36  0.260
H -2.87 -0.09 0.56  0.264
O 1.97 -5.20 1.47  -0.723
C -0.64 2.13 -1.80  -0.238
Br 1.47 -5.05 5.01  0.097
C -0.81 0.20 -0.27  0.326
H -2.54 -1.62 -1.44  0.208
O -4.16 -0.33 -1.99  -0.550
H 4.08 -4.86 -0.39  0.211
F -3.82 6.05 1.54  -0.280
H -1.33 2.92 0.22  0.249
F -1.39 5.48 0.62  -0.321
C -4.46 -0.97 -3.20  0.645
C -0.25 -0.86 0.57  0.079
H 1.03 -4.25 -0.20  0.189
H 3.95 -0.73 0.86  0.274
O -3.98 -0.66 -4.25  -0.513
C 3.01 -4.99 -0.70  -0.625
Br 3.82 -6.98 6.01  0.125
C 2.94 3.01 -0.96  -0.329
H 2.60 1.81 -2.72  0.272
N -1.22 -1.69 1.25  -0.568
I 6.41 -1.02 -1.19  0.099
O -0.64 -0.54 3.15  -0.509
C 2.05 -0.03 -0.04  0.012
H 2.44 -4.83 2.24  0.480
H 2.39 3.75 -0.32  0.220
H 2.71 -6.04 -0.90  0.250
H 2.97 -2.49 -0.32  0.205
C 3.36 -5.21 5.38  -0.493
H 3.59 -4.52 6.18  0.231
F -2.41 -1.83 3.38  -0.290
C -0.98 -3.11 1.08  0.981
H -5.22 -1.81 -3.22  0.151
H 3.53 -3.11 1.33  0.218
H 4.07 3.08 -1.01  0.231
C -1.38 -1.32 2.64  0.974
C -2.40 5.49 -0.35  0.588
H 2.89 -4.37 -1.64  0.197
C -3.74 5.24 0.43  0.560
H -2.17 -0.23 -2.53  0.188
F -5.76 4.26 -0.50  -0.304
C -1.00 3.31 -0.78  -0.476
>>>

  1. Smagorinsky, J., Manabe, S., and Holloway, J.L., Monthly Weather Review , 93 , 727 (1965).
  2. Kasahara, A., and Washington, W. M., Monthly Weather Review , 95 , 389 (1967).
  3. Corby, G. A., Gilchrist, A., and Newson, R. L., Quart. J. Roy. Met. Soc. , 98 , 809 (1972).
  4. Warshaw, M., and Rapp, R. R., R-908-ARPA (1972).